How Does Time Use Affect the Likelihood of Becoming Obese?

Monday, June 23, 2014: 1:55 PM
Von KleinSmid 102 (Von KleinSmid Center)

Author(s): Joshua C Pinkston

The following is a simulated PXRD pattern of TaTiS2Cl. It was derived from the GGA-PBE geometry in Alexandria, using a wavelength of 1.5418 Å.

Top 12 peaks for 2θ from 5° to 70°, in order of rising 2θ:
2θ 18.7, intensity 26.9, (1 0 0); 2θ 26.6, intensity 56.3, (1 1 0); 2θ 27.3, intensity 100.0, (1 0 1); 2θ 33.3, intensity 90.6, (1 1 1); 2θ 38.0, intensity 61.7, (2 0 0); 2θ 39.9, intensity 26.8, (0 0 2); 2θ 47.4, intensity 45.6, (2 1 1); 2θ 48.6, intensity 22.1, (1 1 2); 2θ 54.8, intensity 20.4, (2 2 0); 2θ 56.2, intensity 37.5, (2 0 2); 2θ 65.6, intensity 24.5, (3 1 1); 2θ 69.9, intensity 19.3, (2 2 2)

Atomic structure:
a b c (Å): 4.740 4.740 4.522
angles (deg): 90.00 90.00 90.00
Space group P4/mmm (No. 123)
Unique sites:
1 Ta 0.000 0.000 0.000 (multiplicity 1)

Discussant: Olga Yakusheva

We undertake a careful examination of the role of time use in obesity using the Eating and Health module of the American Time Use Survey (ATUS).  The ATUS provides a detailed look at how people spend their time over a 24-hour period.  But body mass is affected by behavior over a longer period of months or years.  Given the considerable day-to-day variation in time use, the time diaries can be viewed as measuring long-run time use with error.  Furthermore, behavior and obesity might be jointly determined, or obesity might influence behavior.

-- What comes next are records of crystals, not part of the text --
~~~
Entry 1:
Calculated X-ray diffraction stick pattern of LuBe4 for λ = 1.5418 Å (Cu Kα), from the GGA-PBE geometry in OQMD.
Lines closer than 0.1° are merged.

Structure:
```
data_LuBe4
_symmetry_space_group_name_H-M 'P 4/n m m'
_symmetry_Int_Tables_number 129
_cell_length_a 4.711
_cell_length_b 4.711
_cell_length_c 6.133
_cell_angle_alpha 90.00
_cell_angle_beta 90.00
_cell_angle_gamma 90.00
loop_
_symmetry_equiv_pos_as_xyz
'x,y,z'
'-x,-y,-z'
'-y+1/2,x,z'
'y+1/2,-x,-z'
'-x+1/2,-y+1/2,z'
'x+1/2,y+1/2,-z'
'y,-x+1/2,z'
'-y,x+1/2,-z'
'x+1/2,-y,-z'
'-x+1/2,y,z'
'-y,-x,-z'
'y,x,z'
'-x,y+1/2,-z'
'x,-y+1/2,z'
'y+1/2,x+1/2,-z'
'-y+1/2,-x+1/2,z'
loop_
_atom_site_label
_atom_site_type_symbol
_atom_site_fract_x
_atom_site_fract_y
_atom_site_fract_z
_atom_site_occupancy
Lu1 Lu 0.250 0.250 0.204 1
Be1 Be 0.250 0.250 0.705 1
Be2 Be 0.250 0.750 0.159 1
Be3 Be 0.250 0.750 0.500 1
```

Largest 6 diffraction maxima, by angle, 2θ from 5° to 70°:
2θ = 23.8°, I 100
2θ = 26.8°, I 38
2θ = 34.9°, I 14
2θ = 38.2°, I 23
2θ = 40.0°, I 24
2θ = 45.5°, I 37



Entry 2:
Calculated X-ray diffraction stick pattern of LuBe13 for λ = 1.5418 Å (Cu Kα), from the GGA-PBE geometry in OQMD.
Lines closer than 0.1° are merged.

Structure:
```
data_LuBe13
_symmetry_space_group_name_H-M 'F m -3 c'
_symmetry_Int_Tables_number 226
_symmetry_space_group_name_Hall '-F 4a 2 3'
_cell_length_a 10.114
_cell_length_b 10.114
_cell_length_c 10.114
_cell_angle_alpha 90.00
_cell_angle_beta 90.00
_cell_angle_gamma 90.00
loop_
_atom_site_label
_atom_site_type_symbol
_atom_site_fract_x
_atom_site_fract_y
_atom_site_fract_z
_atom_site_occupancy
Lu1 Lu 0.250 0.250 0.250 1
Be1 Be 0.000 0.000 0.000 1
Be2 Be 0.000 0.114 0.177 1
```

Largest 6 diffraction maxima, by angle, 2θ from 5° to 70°:
2θ = 17.5°, I 93
2θ = 24.9°, I 100
2θ = 30.6°, I 44
2θ = 39.9°, I 71
2θ = 43.9°, I 60
2θ = 69.6°, I 28



Entry 3:
Calculated X-ray diffraction stick pattern of LuBeSbOs for λ = 1.5418 Å (Cu Kα), from the GGA-PBE geometry in OQMD.
Lines closer than 0.1° are merged.

Structure:
```
data_LuBeSbOs
_symmetry_space_group_name_H-M 'F -4 3 m'
_symmetry_Int_Tables_number 216
_symmetry_space_group_name_Hall 'F -4 2 3'
_cell_length_a 6.493
_cell_length_b 6.493
_cell_length_c 6.493
_cell_angle_alpha 90.00
_cell_angle_beta 90.00
_cell_angle_gamma 90.00
loop_
_atom_site_label
_atom_site_type_symbol
_atom_site_fract_x
_atom_site_fract_y
_atom_site_fract_z
_atom_site_occupancy
Lu1 Lu 0.000 0.000 0.000 1
Be1 Be 0.250 0.250 0.750 1
Sb1 Sb 0.250 0.250 0.250 1
Os1 Os 0.000 0.000 0.500 1
```

Largest 6 diffraction maxima, by angle, 2θ from 5° to 70°:
2θ = 23.7°, I 14
2θ = 27.5°, I 29
2θ = 39.2°, I 100
2θ = 48.6°, I 8
2θ = 56.7°, I 17
2θ = 64.1°, I 11



Entry 4:
Calculated X-ray diffraction stick pattern of MgScBeZn for λ = 1.5418 Å (Cu Kα), from the GGA-PBE geometry in OQMD.
Lines closer than 0.1° are merged.

Structure:
```
data_MgScBeZn
_symmetry_space_group_name_H-M 'F -4 3 m'
_symmetry_Int_Tables_number 216
~~~

The mismatch between the time period of interest and the time period observed in the data has been underappreciated in previous research. This mismatch introduces bias even if researchers are uninterested in causal effects. For example, previous work has regressed BMI on time use variables in an attempt to estimate the association of time use on a typical day with BMI.  What they actually estimated was the association of time use yesterday with BMI today.

The good news is that both the endogeneity of time use and the measurement error due to the mismatch between time periods can be addressed using instrumental variables. The bad news is that finding valid instruments that predict long-run time use is extremely difficult. 

In the absence of traditional instruments, we address these issues using an approach developed by Lewbel (2011) that exploits heteroskedasticity in mismeasured or endogenous explanatory variables to construct instrumental variables. This estimator replaces traditional exclusion restrictions with assumptions about the covariance of certain variables with the error terms. Fortunately, these covariance assumptions can be tested using familiar first-stage F-statistics and tests of overidentifying restrictions.

The resulting estimates suggest that time spent exercising (defined as physically active leisure) reduces body mass and the probability of being obese for women; however, exercise does not lower the body mass of men, possibly due to changes in muscle mass. On the other hand, time spent walking or biking that is not leisure (e.g., commuting or walking a dog) reduces the body mass of both men and women. We also find some evidence that time spent in market work increases body mass for both genders, and time spent in “secondary eating” (grazing) results in lower body mass for women.